Since Shanghai-HK Stock Connect was first launched in late 2014, a lot of offshore investors switched to this channel to invest in China A-shares whilst Mainland Chinese investors began to utilize this program to invest in HK-listed equities. The low utilization of daily quota led to uncertainty about the effectiveness of the program. Both Shanghai and Shenzhen northbound daily quota is RMB 13 million each while Hong Kong southbound daily quota is HKD 10.5 million for both Shanghai and Shenzhen. Since inception of the program, the average quota utilization remained in single-digits, i.e. 3.8% for all northbound trades and 8.5% for all southbound trades. Specifically, northbound trades going to Shenzhen are higher than Shanghai, and reverse in southbound with Shanghai taking the lead.

Source: Bloomberg as of Dec 31, 2017

Don’t be fooled by low overall numbers
These statistics miss the real growth, however, as they net buys and sells. The picture looks dramatically different when aggregating buys and sells and the progress is in fact quite encouraging. On the northbound, trading interests accelerated in 2017 since the introduction of Shenzhen-HK Connect and the announcement of A-share inclusion from MSCI. In terms of value, the overall trading activities were RMB 2,265 billion in 2017 versus RMB 771 billion in 2016, up 194% year-on-year. Shanghai’s trading is still higher, but Shenzhen’s is catching up rapidly. The red line below shows only one net selling period, the second half of 2015, when foreigners stepped back during the onshore market correction. Since then, the holdings of A-shares via Stock Connect picked up and kept rising, reaching RMB 353 billion at the end of 2017.

Source: Bloomberg as of Dec 31, 2017

On the southbound, the interests of Mainland Chinese investors in trading HK-listed shares also sped up in 2017. In terms of value, the overall trading activities counting both buying and selling were RMB 2,260 billion in 2017 versus RMB 836 billion in 2016, up 170% year-on-year. As shown by net accumulated buys (below), the holdings of HK-listed shares went up steadily in the past few years and reached RMB 727 billion at the end of 2017. The freeze in QDII quota likely pushed mainland investors toward Stock Connect, making Southbound holdings twice as large as Northbound.

Source: Bloomberg as of Dec 31, 2017

Stock selection reveals clear preference by investors

The top positions of both Northbound and Southbound investors offer interesting observations and implications for future market returns.

  • Offshore investors are more interested in unique A-share exposure that is not available elsewhere, e.g. Kweichow Moutai, Jiangsu Hengrui or Hangzhou Hikvision. Out of the top 10 positions in both Shanghai and Shenzhen, only 3 are dual-listed stocks. The other 17 stocks are only traded in either Shanghai or Shenzhen.

  • Mainland Chinese investors are less interested in foreign stocks. HSBC and Tencent are of course there, but many investors are aiming to take advantage of the price difference in Chinese dual-listed stocks. Of the top 10 positions in Hong Kong, half of them are H-shares trading at discount to A-shares, such as China Construction Bank, ICBC and New China Life.

  • For industry preference, offshore investors are relatively diversified with a priority on consumer discretionary, followed by financials, consumer staples, healthcare, IT and utilities. On the other hand, Mainland Chinese investors focus on financials overwhelmingly, comprising 8 out of the top 10 positions.

Note: * for dual-listed shares
Souce: Hong Kong Exchange & Clearing as of Dec 31, 2017

What to expect next?
Going forward, we expect interest in China equities, including both Shanghai-/Shenzhen-listed A-shares and HK-listed shares to carry on, resulting in higher trading activity and total share holding via Stock Connect. Northbound activities will benefit from the inclusion of A-shares, stabilization of renminbi, strong macro and corporate earnings. Similarly, Southbound activities will be supported by Mainland Chinese investor diversification into offshore markets. Strategy wise, taking advantage of the price difference in dual-listed stocks is likely to decrease in popularity. A-H conversion on the back of Stock Connect alone is not yet on the horizon, as evidenced by the premium remaining above 120 continuously since Stock Connect inception. Investors will focus instead on niche exposure not available in their respective markets. For Northbound investors, that means consumer discretionary and staples, IT and healthcare stocks in A-shares. For Southbound investors, it will likely be multinational companies and Internet plays in Hong Kong.

-- Next to the entry, the page also holds records of crystals --
+++
[1]
6
Lattice="0.000 4.626 4.626 4.626 0.000 4.626 4.626 4.626 0.000" Properties=species:S:1:pos:R:3 comment="La4ScTe | the Alexandria database | GGA-PBE | optimized geometry" raw_formation_energy_ev_per_atom=0.1024 spacegroup="F-43m (216)" vol_a3_per_cell=198 pbc="T T T"
La 1.135 1.135 1.135
La 3.492 3.492 1.135
La 3.492 1.135 3.492
La 1.135 3.492 3.492
Sc 6.939 6.939 6.939
Te 4.626 4.626 4.626



[2]
4
Lattice="3.809 0.000 0.000 0.000 3.809 0.000 0.000 0.000 8.954" Properties=species:S:1:pos:R:3 comment="Sm2EuCd | the Alexandria database | GGA-PBE | optimized geometry" delta_e_f_ev_per_atom=-0.10 spacegroup="P4/mmm (123)" vol_a3_per_cell=130 e_above_lowest_polymorph_mev_per_atom=0 pbc="T T T"
Sm 0.000 0.000 1.870
Sm 0.000 0.000 7.084
Eu 1.904 1.904 4.477
Cd 1.904 1.904 0.000



[3]
7
Lattice="1.839 1.062 20.949 -1.839 1.062 20.949 0.000 -2.123 20.949" Properties=species:S:1:pos:R:3 comment="LaPm4Nd2 | the Alexandria database | GGA-PBE | optimized geometry" delta_e_f_ev_per_atom=0.01 spacegroup="R-3m (166)" vol_a3_per_cell=245 e_above_lowest_polymorph_mev_per_atom=0 pbc="T T T"
La 0.000 0.000 0.000
Pm 0.000 0.000 8.991
Pm 0.000 0.000 17.923
Pm 0.000 0.000 44.924
Pm 0.000 0.000 53.856
Nd 0.000 0.000 26.954
Nd 0.000 0.000 35.893

~~~~~

! NpGa3Pd (PBE, optimized geometry); values from VASP
&SYSTEM
  ibrav = 0, nat = 20, ntyp = 3
/
ATOMIC_SPECIES
Np 237.00 Np.upf
Ga 69.72 Ga.upf
Pd 106.42 Pd.upf
CELL_PARAMETERS angstrom
8.410 0.000 0.000
0.000 3.496 0.000
0.000 0.000 12.019
ATOMIC_POSITIONS crystal
Np 0.097 0.250 0.003
Np 0.403 0.750 0.503
Np 0.597 0.250 0.497
Np 0.903 0.750 0.997
Ga 0.092 0.250 0.423
Ga 0.100 0.750 0.215
Ga 0.149 0.750 0.796
Ga 0.351 0.250 0.296
Ga 0.400 0.250 0.715
Ga 0.408 0.750 0.923
Ga 0.592 0.250 0.077
Ga 0.600 0.750 0.285
Ga 0.649 0.750 0.704
Ga 0.851 0.250 0.204
Ga 0.900 0.250 0.785
Ga 0.908 0.750 0.577
Pd 0.121 0.250 0.636
Pd 0.379 0.750 0.136
Pd 0.621 0.250 0.864
Pd 0.879 0.750 0.364
! **Energy relative to the elements**: -0.318 eV/atom
! **Total magnetization**: 0.00 μB per cell

---

! NpGaPd (PBE, optimized geometry); values from VASP
&SYSTEM
  ibrav = 0, nat = 3, ntyp = 3
/
ATOMIC_SPECIES
Np 237.00 Np.upf
Ga 69.72 Ga.upf
Pd 106.42 Pd.upf
CELL_PARAMETERS angstrom
-1.527 1.527 5.950
1.527 -1.527 5.950
1.527 1.527 -5.950
ATOMIC_POSITIONS crystal
Np 0.000 0.000 0.000
Ga 0.311 0.311 0.000
Pd 0.686 0.686 0.000
! **Energy relative to the elements**: -0.276 eV/atom
! **Total magnetization**: 4.12 μB per cell

~~~~~

Record 1
The following is a PBE calculation of a geometry-optimized In6SbI12 structure, from Alexandria via LeMat-Bulk.

abc: 9.9920 9.9920 9.9920
angles: 69.19 69.19 69.19
Last column: nearest neighbours and their distance in Å.
Positions (direct):
1 I 0.4916 0.1554 0.6290  3 In 3.18-3.31
2 I 0.5084 0.8446 0.3710  3 In 3.18-3.31
3 I 0.6290 0.4916 0.1554  3 In 3.18-3.31
4 I 0.8446 0.3710 0.5084  3 In 3.18-3.31
5 I 0.8726 0.0452 0.3122  1 Sb 3.05, 2 In 3.23-3.31
6 I 0.3122 0.8726 0.0452  1 Sb 3.05, 2 In 3.23-3.31
+++

Source: Bloomberg as of Jan 11, 2017

Stock Connect will be the likely route for this continued investment, given its ample capacity, easier operational requirements and lower costs. QFII and RQFII will continue to be used by the largest investors, but most will slowly switch to Stock Connect. At Premia, we made the move from the start, becoming the first Stock Connect only A-shares ETF provider on HKEx. 2803 HK and 3173 HK keep their total expense ratios low with the help of Stock Connect. Future product launches by other providers are likely to follow suit in utilizing this innovative program. Whether they pass the savings to investors remains to be seen.

Source: Bloomberg as of Jan 11, 2017

